Here is C30H31MoN6O7S3 as an isolated structure from OMol25. Energies are from wB97M-V/def2-TZVPD.

Output
Energy above the lowest of the compared OMol25 structures with the same formula, charge and spin in kJ/mol: 39.8
Total charge: +1
DFT total energy in eV: -89241.824
Multiplicity: 3
HOMO-LUMO gap (spin up / spin down) in eV: 7.24 / 6.94
LUMO energy (spin up / spin down) in eV: -3.51 / -3.85

CARTESIAN COORDINATES (ANGSTROEM)
Mo (0.01590, 0.57078, -0.28929)
C (3.50603, 0.00486, 2.38933)
C (2.60763, -0.12493, 1.20337)
N (1.36762, 0.26220, 1.29049)
N (0.97792, 0.71808, 2.54604)
C (0.12934, 1.68278, 2.54061)
S (-0.49015, 2.45365, 1.08057)
S (-0.39799, 2.35695, 4.08434)
C (1.23877, 2.89684, 4.75528)
C (1.76779, 4.13642, 4.09707)
C (2.48583, 4.06621, 2.90706)
C (2.95685, 5.21969, 2.29706)
C (2.71716, 6.45943, 2.87316)
C (2.00262, 6.53927, 4.06027)
C (1.53050, 5.38416, 4.66603)
C (3.11905, -0.64046, -0.06554)
C (4.16803, -1.57139, -0.07396)
C (4.69050, -2.05055, -1.25302)
C (4.20513, -1.56745, -2.46774)
C (3.18822, -0.63589, -2.48868)
C (2.61480, -0.18751, -1.30011)
O (1.57542, 0.66410, -1.35866)
H (3.54418, 1.05172, 2.69017)
H (4.51382, -0.33114, 2.17277)
H (3.09419, -0.54602, 3.23598)
H (1.90423, 2.04314, 4.65039)
H (1.03163, 3.06552, 5.81025)
H (2.69063, 3.10307, 2.45303)
H (3.51823, 5.15294, 1.37298)
H (3.09419, 7.35904, 2.40345)
H (1.81379, 7.50255, 4.51777)
H (0.97473, 5.44866, 5.59513)
H (4.54427, -1.95037, 0.86815)
H (5.47746, -2.79282, -1.23691)
H (4.62712, -1.92211, -3.39946)
H (2.80640, -0.23839, -3.42197)
O (-2.06182, -2.36630, 1.52962)
C (-1.52695, -1.69716, 0.69982)
O (-1.23830, -0.40826, 0.79214)
C (-1.10938, -2.19766, -0.65562)
C (-1.46235, -3.42304, -1.17017)
C (-1.12148, -3.70777, -2.48372)
C (-0.44086, -2.75228, -3.22347)
C (-0.11067, -1.54967, -2.63072)
N (-0.43516, -1.28032, -1.36015)
H (-2.00178, -4.11564, -0.53821)
H (-1.39285, -4.65351, -2.93554)
H (-0.16389, -2.93108, -4.25344)
H (0.39493, -0.76929, -3.18153)
C (-0.70865, 0.25330, -8.51601)
C (-1.90887, 0.03256, -7.59872)
S (-1.64614, 0.92114, -6.06017)
O (-0.92764, 2.13811, -6.33456)
O (-1.09992, 0.00314, -5.07876)
C (-3.29312, 1.36322, -5.48360)
C (-3.30442, 2.50876, -4.45818)
N (-2.21240, 2.47540, -3.47233)
C (-2.06142, 1.51042, -2.55151)
N (-0.88213, 1.62386, -1.94550)
C (-0.24520, 2.71099, -2.49362)
C (-1.05107, 3.23752, -3.43529)
N (-0.77857, 4.43468, -4.19198)
O (-1.69418, 4.95517, -4.80364)
O (0.36130, 4.83884, -4.13867)
C (-3.09380, 0.49532, -2.21530)
H (-0.86792, -0.26106, -9.46223)
H (0.20438, -0.12822, -8.05827)
H (-0.56793, 1.31383, -8.71245)
H (-2.02929, -1.01105, -7.31093)
H (-2.83454, 0.40914, -8.03777)
H (-3.69852, 0.44063, -5.06467)
H (-3.87245, 1.66267, -6.35687)
H (-4.24395, 2.45984, -3.91266)
H (-3.24337, 3.46495, -4.95497)
H (0.73102, 3.04086, -2.19091)
H (-4.09842, 0.89986, -2.33245)
H (-2.96519, 0.19277, -1.17923)
H (-2.99209, -0.38881, -2.85148)

Forces on atoms 1 to 2 (eV/Å):
0.06 1.72 0.31
0.05 -0.15 0.06

***

Here is C29H23CrN6O6 as an isolated structure from OMol25. Energies are from wB97M-V/def2-TZVPD.

Output
DFT total energy in eV: -80096.140
Multiplicity: 4
HOMO-LUMO gap (spin up / spin down) in eV: 6.20 / 5.95
LUMO energy (spin up / spin down) in eV: -1.72 / -1.97

CARTESIAN COORDINATES (ANGSTROEM)
Cr (-0.41710, 1.27333, -0.24100)
O (6.28545, 0.83478, 0.96743)
C (5.80195, 0.82679, -0.17562)
O (6.31049, 0.82798, -1.30749)
C (4.26919, 1.05586, -0.19269)
C (3.58357, 1.12928, -1.40249)
C (2.21064, 1.22506, -1.38391)
N (1.55468, 1.25116, -0.21994)
C (2.18754, 1.23699, 0.95663)
C (3.56038, 1.14057, 1.00219)
C (1.25617, 1.31640, 2.11902)
C (1.67906, 1.39757, 3.43014)
C (0.72595, 1.49220, 4.43343)
C (-0.61774, 1.50017, 4.10433)
C (-0.97262, 1.40854, 2.77041)
N (-0.05711, 1.31613, 1.80546)
C (1.29978, 1.28863, -2.56491)
C (1.74414, 1.35898, -3.86869)
C (0.80711, 1.43408, -4.88902)
C (-0.54169, 1.43357, -4.58308)
C (-0.91880, 1.35439, -3.25422)
N (-0.01900, 1.28248, -2.27348)
H (4.17600, 1.07781, -2.30728)

Your job: start at the top of the calculation results further above and copy each line, ending with the one that has "(0.72595, 1.49220,".

Here is C30H31MoN6O7S3 as an isolated structure from OMol25. Energies are from wB97M-V/def2-TZVPD.

Output
Energy above the lowest of the compared OMol25 structures with the same formula, charge and spin in kJ/mol: 39.8
Total charge: +1
DFT total energy in eV: -89241.824
Multiplicity: 3
HOMO-LUMO gap (spin up / spin down) in eV: 7.24 / 6.94
LUMO energy (spin up / spin down) in eV: -3.51 / -3.85

CARTESIAN COORDINATES (ANGSTROEM)
Mo (0.01590, 0.57078, -0.28929)
C (3.50603, 0.00486, 2.38933)
C (2.60763, -0.12493, 1.20337)
N (1.36762, 0.26220, 1.29049)
N (0.97792, 0.71808, 2.54604)
C (0.12934, 1.68278, 2.54061)
S (-0.49015, 2.45365, 1.08057)
S (-0.39799, 2.35695, 4.08434)
C (1.23877, 2.89684, 4.75528)
C (1.76779, 4.13642, 4.09707)
C (2.48583, 4.06621, 2.90706)
C (2.95685, 5.21969, 2.29706)
C (2.71716, 6.45943, 2.87316)
C (2.00262, 6.53927, 4.06027)
C (1.53050, 5.38416, 4.66603)
C (3.11905, -0.64046, -0.06554)
C (4.16803, -1.57139, -0.07396)
C (4.69050, -2.05055, -1.25302)
C (4.20513, -1.56745, -2.46774)
C (3.18822, -0.63589, -2.48868)
C (2.61480, -0.18751, -1.30011)
O (1.57542, 0.66410, -1.35866)
H (3.54418, 1.05172, 2.69017)
H (4.51382, -0.33114, 2.17277)
H (3.09419, -0.54602, 3.23598)
H (1.90423, 2.04314, 4.65039)
H (1.03163, 3.06552, 5.81025)
H (2.69063, 3.10307, 2.45303)
H (3.51823, 5.15294, 1.37298)
H (3.09419, 7.35904, 2.40345)
H (1.81379, 7.50255, 4.51777)
H (0.97473, 5.44866, 5.59513)
H (4.54427, -1.95037, 0.86815)
H (5.47746, -2.79282, -1.23691)
H (4.62712, -1.92211, -3.39946)
H (2.80640, -0.23839, -3.42197)
O (-2.06182, -2.36630, 1.52962)
C (-1.52695, -1.69716, 0.69982)
O (-1.23830, -0.40826, 0.79214)
C (-1.10938, -2.19766, -0.65562)
C (-1.46235, -3.42304, -1.17017)
C (-1.12148, -3.70777, -2.48372)
C (-0.44086, -2.75228, -3.22347)
C (-0.11067, -1.54967, -2.63072)
N (-0.43516, -1.28032, -1.36015)
H (-2.00178, -4.11564, -0.53821)
H (-1.39285, -4.65351, -2.93554)
H (-0.16389, -2.93108, -4.25344)
H (0.39493, -0.76929, -3.18153)
C (-0.70865, 0.25330, -8.51601)
C (-1.90887, 0.03256, -7.59872)
S (-1.64614, 0.92114, -6.06017)
O (-0.92764, 2.13811, -6.33456)
O (-1.09992, 0.00314, -5.07876)
C (-3.29312, 1.36322, -5.48360)
C (-3.30442, 2.50876, -4.45818)
N (-2.21240, 2.47540, -3.47233)
C (-2.06142, 1.51042, -2.55151)
N (-0.88213, 1.62386, -1.94550)
C (-0.24520, 2.71099, -2.49362)
C (-1.05107, 3.23752, -3.43529)
N (-0.77857, 4.43468, -4.19198)
O (-1.69418, 4.95517, -4.80364)
O (0.36130, 4.83884, -4.13867)
C (-3.09380, 0.49532, -2.21530)
H (-0.86792, -0.26106, -9.46223)
H (0.20438, -0.12822, -8.05827)
H (-0.56793, 1.31383, -8.71245)
H (-2.02929, -1.01105, -7.31093)
H (-2.83454, 0.40914, -8.03777)
H (-3.69852, 0.44063, -5.06467)
H (-3.87245, 1.66267, -6.35687)
H (-4.24395, 2.45984, -3.91266)
H (-3.24337, 3.46495, -4.95497)
H (0.73102, 3.04086, -2.19091)
H (-4.09842, 0.89986, -2.33245)
H (-2.96519, 0.19277, -1.17923)
H (-2.99209, -0.38881, -2.85148)

Forces on atoms 1 to 2 (eV/Å):
0.06 1.72 0.31
0.05 -0.15 0.06

***

Here is C29H23CrN6O6 as an isolated structure from OMol25. Energies are from wB97M-V/def2-TZVPD.

Output
DFT total energy in eV: -80096.140
Multiplicity: 4
HOMO-LUMO gap (spin up / spin down) in eV: 6.20 / 5.95
LUMO energy (spin up / spin down) in eV: -1.72 / -1.97

CARTESIAN COORDINATES (ANGSTROEM)
Cr (-0.41710, 1.27333, -0.24100)
O (6.28545, 0.83478, 0.96743)
C (5.80195, 0.82679, -0.17562)
O (6.31049, 0.82798, -1.30749)
C (4.26919, 1.05586, -0.19269)
C (3.58357, 1.12928, -1.40249)
C (2.21064, 1.22506, -1.38391)
N (1.55468, 1.25116, -0.21994)
C (2.18754, 1.23699, 0.95663)
C (3.56038, 1.14057, 1.00219)
C (1.25617, 1.31640, 2.11902)
C (1.67906, 1.39757, 3.43014)
C (0.72595, 1.49220, 4.43343)